What to do.
It remains to say how many lines of the notes below hold the word "Kα1", as a bare number.

Listing.
This entry pairs a crystal structure of Li5Co2O6 with its computed powder diffractogram. Radiation: Cu Kα (weighted mean of Kα1 and Kα2). Structure: a PBE+U-relaxed structure.
Peak positions follow from Bragg's law for the DFT cell and can differ from measured ones.

Peak list (6 most intense, 2θ from 10° to 80°, low angle first)
hkl  2theta  d/Å  I_rel
0 2 0  13.97  6.341  30
2 0 0  14.11  6.275  27
1 3 0  22.19  4.006  26
1 1 1  27.49  3.245  100
4 4 0  40.45  2.230  31
5 5 1  58.09  1.588  25

Structure:
```
data_Li5Co2O6
_cell_length_a 12.550
_cell_length_b 12.681
_cell_length_c 3.484
_cell_angle_alpha 90.00
_cell_angle_beta 90.00
_cell_angle_gamma 90.00
_space_group_name_H-M_alt 'C m m m'
_space_group_IT_number 65
_space_group_name_Hall '-C 2 2'
loop_
_atom_site_label
_atom_site_fract_x
_atom_site_fract_y
_atom_site_fract_z
Li1 0.104 0.217 0.000
Li2 0.171 0.500 0.000
Li3 0.240 0.364 0.500
Co1 0.000 0.385 0.500
Co2 0.110 0.000 0.000
O1 0.000 0.096 0.000
O2 0.096 0.500 0.500
O3 0.106 0.294 0.500
O4 0.209 0.102 0.000
```

----------

[1]
Computed powder X-ray diffraction pattern of PrSiPd for Cu Kα (weighted mean of Kα1 and Kα2), from a crystal structure in Alexandria, relaxed with PBE.
Lines closer than 0.1° are merged.

Principal peaks in the range 10 to 90 degrees two-theta, sorted by position:
30.72°, I = 80
32.42°, I = 100
32.83°, I = 53
33.38°, I = 38
34.00°, I = 88
36.34°, I = 92
37.34°, I = 92
41.26°, I = 83

Crystal structure
Unit cell a=10.9199 b=5.8935 c=7.9200 alpha=90.00 beta=91.83 gamma=90.00
Element x y z (fractional)
Pr 0.1294 0.1316 0.3261
Pr 0.1294 0.3684 0.8261
Pr 0.3570 0.6337 0.4660
Pr 0.3570 0.8663 0.9660
Pr 0.6430 0.1337 0.0340
Pr 0.6430 0.3663 0.5340
Pr 0.8706 0.6316 0.1739
Pr 0.8706 0.8684 0.6739
Si 0.0765 0.6331 0.4647
Si 0.0765 0.8669 0.9647
Si 0.3562 0.1419 0.6243
Si 0.3562 0.3581 0.1243
Si 0.6438 0.6419 0.8757
Si 0.6438 0.8581 0.3757
Si 0.9235 0.1331 0.0353
Si 0.9235 0.3669 0.5353
Pd 0.1684 0.6085 0.1784
Pd 0.1684 0.8915 0.6784
Pd 0.4480 0.0994 0.3363
Pd 0.4480 0.4006 0.8363
Pd 0.5520 0.5994 0.1637
Pd 0.5520 0.9006 0.6637
Pd 0.8316 0.1085 0.3216
Pd 0.8316 0.3915 0.8216

=====

[2]
Computed powder X-ray diffraction pattern of PrHoTeO2 for Cu Kα (weighted mean of Kα1 and Kα2), from a crystal structure in Alexandria, relaxed with PBE.
Lines closer than 0.1° are merged.

Principal peaks in the range 10 to 90 degrees two-theta, sorted by position:
25.27°, I = 88
30.06°, I = 95
30.46°, I = 100
31.84°, I = 75
31.97°, I = 47
34.57°, I = 84
43.53°, I = 44
54.06°, I = 40

Crystal structure
Unit cell a=6.9543 b=4.1582 c=7.9303 alpha=90.00 beta=107.30 gamma=90.00
Element x y z (fractional)
Pr 0.1809 0.2500 0.4255
Pr 0.8191 0.7500 0.5745
Ho 0.1543 0.2500 0.9133
Ho 0.8457 0.7500 0.0867
Te 0.4512 0.7500 0.7531
Te 0.5488 0.2500 0.2469
O 0.0110 0.7500 0.8866
O 0.0159 0.7500 0.3702
O 0.9841 0.2500 0.6298
O 0.9890 0.2500 0.1134

=====

[3]
Computed powder X-ray diffraction pattern of RbPuTe4 for Cu Kα (weighted mean of Kα1 and Kα2), from a crystal structure in Alexandria, relaxed with PBE.
Lines closer than 0.1° are merged.

Principal peaks in the range 10 to 90 degrees two-theta, sorted by position:
26.51°, I = 100
30.73°, I = 83
32.42°, I = 51
35.04°, I = 21
41.73°, I = 49
42.92°, I = 22
49.02°, I = 26
57.33°, I = 24

Crystal structure
Unit cell a=6.8452 b=6.8452 c=9.3500 alpha=90.00 beta=90.00 gamma=90.00
Element x y z (fractional)
Rb 0.2500 0.2500 0.0000
Rb 0.7500 0.7500 0.0000
Pu 0.2500 0.2500 0.5000
Pu 0.7500 0.7500 0.5000
Te 0.1027 0.6027 0.2983
Te 0.1027 0.8973 0.7017
Te 0.3973 0.6027 0.7017
Te 0.3973 0.8973 0.2983
Te 0.6027 0.1027 0.7017
Te 0.6027 0.3973 0.2983
Te 0.8973 0.1027 0.2983
Te 0.8973 0.3973 0.7017

=====

[4]
Computed powder X-ray diffraction pattern of PmNdCdSi for Cu Kα (weighted mean of Kα1 and Kα2), from a crystal structure in Alexandria, relaxed with PBE.
Lines closer than 0.1° are merged.

Principal peaks in the range 10 to 90 degrees two-theta, sorted by position:
20.71°, I = 9

Here it is.
5